=====
Entry from Alexandria via LeMat-Bulk: a crystal of ScGe2RuPb relaxed with PBEsol (meta-GGA SCAN).

abc: 5.0671 5.0671 4.5781
angles: 90.00 90.00 90.00
Fractional coordinates of all 5 atoms:
Sc (0.0000, 0.0000, 0.0000)
Ge (0.0000, 0.5000, 0.0000)
Ge (0.5000, 0.0000, 0.0000)
Ru (0.0000, 0.0000, 0.5000)
Pb (0.5000, 0.5000, 0.5000)

Results
Magnetization (μB per cell): 0.00
Calculated formation energy (eV per atom): 0.81
Space-group type: P4/mmm (123)

Entry from Alexandria via LeMat-Bulk: a crystal of Mg2TaAu relaxed with PBEsol (meta-GGA SCAN).

abc: 2.8867 5.0314 10.0245
angles: 90.00 90.00 90.00
Fractional coordinates of all 8 atoms:
Mg (0.0000, 0.0000, 0.2315)
Mg (0.0000, 0.0000, 0.7685)
Mg (0.5000, 0.5000, 0.2685)
Mg (0.5000, 0.5000, 0.7315)
Ta (0.0000, 0.5000, 0.0000)
Ta (0.5000, 0.0000, 0.5000)
Au (0.0000, 0.5000, 0.5000)
Au (0.5000, 0.0000, 0.0000)

Results
Magnetization (μB per cell): 0.00
Calculated formation energy (eV per atom): -0.02
Offset from the most stable computed form (meV/atom): 17
Space-group type: Immm (71)

Entry from Alexandria via LeMat-Bulk: a crystal of Cd2MoP relaxed with PBEsol (meta-GGA SCAN).

abc: 8.7468 3.2560 5.3383
angles: 90.00 112.52 90.00
Fractional coordinates of all 8 atoms:
Cd (0.0000, 0.0000, 0.0000)
Cd (0.2191, 0.0000, 0.7679)
Cd (0.5000, 0.5000, 0.0000)
Cd (0.7191, 0.5000, 0.7679)
Mo (0.4358, 0.0000, 0.3992)
Mo (0.9358, 0.5000, 0.3992)
P (0.2318, 0.5000, 0.3826)
P (0.7318, 0.0000, 0.3826)

Results
Magnetization (μB per cell): 0.00
Calculated formation energy (eV per atom): 0.16
Space-group type: Cm (8)

Entry from Alexandria via LeMat-Bulk: a crystal of LiMgZn4 relaxed with PBEsol (meta-GGA SCAN).

abc: 5.0730 5.0730 5.0730
angles: 60.00 60.00 60.00
Fractional coordinates of all 6 atoms:
Li (0.0000, 0.0000, 0.0000)
Mg (0.2500, 0.2500, 0.2500)
Zn (0.1241, 0.6253, 0.6253)
Zn (0.6253, 0.1241, 0.6253)
Zn (0.6253, 0.6253, 0.1241)
Zn (0.6253, 0.6253, 0.6253)

Results
Magnetization (μB per cell): 0.00
Calculated formation energy (eV per atom): -0.24
Space-group type: F-43m (216)

Entry from Alexandria via LeMat-Bulk: a crystal of CdAsAu2 relaxed with PBEsol (meta-GGA SCAN).

abc: 4.2122 4.2122 4.0609
angles: 90.00 90.00 90.00
Fractional coordinates of all 4 atoms:
Cd (0.0000, 0.0000, 0.0000)
As (0.5000, 0.5000, 0.0000)
Au (0.0000, 0.5000, 0.5000)
Au (0.5000, 0.0000, 0.5000)

Results
Magnetization (μB per cell): 0.00
Calculated formation energy (eV per atom): 0.02
Offset from the most stable computed form (meV/atom): 15
Space-group type: P4/mmm (123)

Entry from Alexandria via LeMat-Bulk: a crystal of ScTi3Si relaxed with PBEsol (meta-GGA SCAN).

abc: 4.6473 4.6473 4.6473
angles: 90.00 90.00 90.00
Fractional coordinates of all 5 atoms:
Sc (0.0000, 0.0000, 0.0000)
Ti (0.0000, 0.5000, 0.5000)
Ti (0.5000, 0.0000, 0.5000)
Ti (0.5000, 0.5000, 0.0000)
Si (0.5000, 0.5000, 0.5000)

Results
Magnetization (μB per cell): 0.00
Formation energy (no corrections) (eV/f.u.): 0.93
Offset from the most stable computed form (meV/atom): 0
Space-group type: Pm-3m (221)

Entry from Alexandria via LeMat-Bulk: a crystal of MgFe2Pb relaxed with PBEsol (meta-GGA SCAN).

abc: 3.1385 3.1385 6.9998
angles: 90.00 90.00 90.00
Fractional coordinates of all 4 atoms:
Mg (0.0000, 0.0000, 0.0000)
Fe (0.0000, 0.0000, 0.6157)
Fe (0.5000, 0.5000, 0.7635)
Pb (0.5000, 0.5000, 0.3505)

Results
Magnetization (μB per cell): 5.45
Calculated formation energy (eV per atom): 0.19
Space-group type: P4mm (99)

Entry from Alexandria via LeMat-Bulk: a crystal of K3Hg relaxed with PBEsol (meta-GGA SCAN).

abc: 5.8264 5.8264 10.6341
angles: 90.00 90.00 90.00
Fractional coordinates of all 8 atoms:
K (0.0000, 0.0000, 0.0000)
K (0.0000, 0.5000, 0.2500)
K (0.0000, 0.5000, 0.7500)
K (0.5000, 0.0000, 0.2500)
K (0.5000, 0.0000, 0.7500)
K (0.5000, 0.5000, 0.5000)
Hg (0.0000, 0.0000, 0.5000)
Hg (0.5000, 0.5000, 0.0000)

Results
Magnetization (μB per cell): 0.01
Calculated formation energy (eV per atom): -0.07
Space-group type: I4/mmm (139)
=====
Please search the entries further up for the word "Mo" and duplicate each line that has it.
Mo (0.4358, 0.0000, 0.3992)
Mo (0.9358, 0.5000, 0.3992)